(Listing)
<<<
# 1
This record from Materials Project describes a relaxed H4Pt crystal. The functional is PBE.

The structure in extended XYZ format:
```
15
Lattice="-3.3532 3.3532 3.3532 3.3532 -3.3532 3.3532 3.3532 3.3532 -3.3532" Properties=species:S:1:pos:R:3 pbc="T T T"
H 1.6798 0.0000 0.0000
H 5.0265 0.0000 0.0000
H 0.0000 1.6798 0.0000
H 0.0000 0.0000 1.6798
H 3.3532 1.6766 0.0000
H 3.3532 0.0000 1.6766
H 1.6766 3.3532 0.0000
H 1.6766 0.0000 3.3532
H 0.0000 5.0265 0.0000
H 0.0000 3.3532 1.6766
H 0.0000 1.6766 3.3532
H 0.0000 0.0000 5.0265
Pt 3.3532 0.0000 0.0000
Pt 0.0000 3.3532 0.0000
Pt 0.0000 0.0000 3.3532
```

Values from the calculation:
For the calculated total energy, the calculation gives -3.5881 eV/atom. The energy of formation comes out at 164 kJ/mol of formula units. The symmetry is Im-3m. The crystal system is cubic.

# 2
This record from Materials Project describes a relaxed KMgH9C2O10 crystal. The functional is PBE.

The structure in extended XYZ format:
```
23
Lattice="5.3574 0.0000 0.0000 -2.0041 6.4296 0.0000 -0.1370 -3.1623 6.3876" Properties=species:S:1:pos:R:3 pbc="T T T"
K 0.0000 0.0000 0.0000
Mg 1.6082 1.6336 3.1938
H -1.0020 3.2148 0.0000
H -1.3953 2.9662 2.7089
H 0.5857 -0.5840 3.8404
H 0.3444 2.0167 5.5465
H 0.3529 3.4830 4.8397
H 2.8635 -0.2158 1.5479
H 2.8720 1.2506 0.8411
H 2.6307 3.8513 2.5472
H 4.6117 0.3011 3.6787
C 0.5600 3.8277 1.2954
C 2.6564 -0.5605 5.0922
O 0.1400 0.1246 3.2804
O -0.2683 4.1399 0.2996
O 0.3544 2.7293 1.9329
O 1.7088 -1.3821 4.8190
O 0.8153 2.5947 4.8838
O 2.4012 0.6726 1.5038
O 1.5076 4.6494 1.5686
O 2.8620 0.5380 4.4547
O 3.4847 -0.8726 6.0880
O 3.0764 3.1427 3.1072
```

Values from the calculation:
For the calculated total energy, the calculation gives -5.7831 eV/atom. The energy of formation comes out at -3734 kJ/mol of formula units. The symmetry is P-1. The crystal system is triclinic.

# 3
This record from Materials Project describes a relaxed AlNi2As crystal. The functional is PBE.

The structure in extended XYZ format:
```
4
Lattice="3.6400 0.0000 0.0000 -1.8200 3.1524 0.0000 0.0000 0.0000 4.8969" Properties=species:S:1:pos:R:3 pbc="T T T"
Al 0.0000 0.0000 0.0000
Ni 0.0000 2.1016 1.2418
Ni 0.0000 2.1016 3.6550
As 1.8200 1.0508 2.4484
```

Values from the calculation:
For the calculated total energy, the calculation gives -5.3472 eV/atom. The energy of formation comes out at -137 kJ/mol of formula units. The symmetry is P-6m2. The crystal system is hexagonal.

# 4
This record from Materials Project describes a relaxed Ba2SnTe5 crystal. The functional is PBE.

The structure in extended XYZ format:
```
32
Lattice="6.9890 0.0000 0.0000 0.0000 24.5686 0.0000 0.0000 0.0000 7.0823" Properties=species:S:1:pos:R:3 pbc="T T T"
Ba 0.0416 2.4510 0.0743
Ba 0.0416 9.8333 0.0743
Ba 3.4529 14.7353 3.6154
Ba 3.4529 22.1176 3.6154
Ba 3.5361 2.4510 3.4669
Ba 3.5361 9.8333 3.4669
Ba 6.9474 14.7353 7.0080
Ba 6.9474 22.1176 7.0080
Sn 0.7084 18.4265 4.1473
Sn 2.7861 6.1422 0.6062
Sn 4.2029 18.4265 6.4761
Sn 6.2806 6.1422 2.9350
Te 0.0567 3.5539 3.6583
Te 0.0567 8.7304 3.6583
Te 0.0569 18.4265 6.9267
Te 1.0061 0.0882 4.5489
Te 1.0061 12.1961 4.5489
Te 2.4884 12.3725 1.0077
Te 2.4884 24.4804 1.0077
Te 3.4376 6.1422 3.3855
Te 3.4378 15.8382 0.1171
Te 3.4378 21.0147 0.1171
Te 3.5512 3.5539 6.9652
Te 3.5512 8.7304 6.9652
Te 3.5514 18.4265 3.6968
Te 4.5006 0.0882 6.0746
Te 4.5006 12.1961 6.0746
Te 5.9829 12.3725 2.5334
Te 5.9829 24.4804 2.5334
Te 6.9321 6.1422 0.1556
Te 6.9323 15.8382 3.4240
Te 6.9323 21.0147 3.4240
```

Values from the calculation:
For the calculated total energy, the calculation gives -3.9178 eV/atom. The energy of formation comes out at -954 kJ/mol of formula units. The symmetry is Pnma. The crystal system is orthorhombic.

# 5
This record from Materials Project describes a relaxed K4P4H6O15 crystal. The functional is PBE.

The structure in extended XYZ format:
```
58
>>>

(To do)
Reproduce the rows further above from the first line to the one with "2.5472" word for word.

(Done)
# 1
This record from Materials Project describes a relaxed H4Pt crystal. The functional is PBE.

The structure in extended XYZ format:
```
15
Lattice="-3.3532 3.3532 3.3532 3.3532 -3.3532 3.3532 3.3532 3.3532 -3.3532" Properties=species:S:1:pos:R:3 pbc="T T T"
H 1.6798 0.0000 0.0000
H 5.0265 0.0000 0.0000
H 0.0000 1.6798 0.0000
H 0.0000 0.0000 1.6798
H 3.3532 1.6766 0.0000
H 3.3532 0.0000 1.6766
H 1.6766 3.3532 0.0000
H 1.6766 0.0000 3.3532
H 0.0000 5.0265 0.0000
H 0.0000 3.3532 1.6766
H 0.0000 1.6766 3.3532
H 0.0000 0.0000 5.0265
Pt 3.3532 0.0000 0.0000
Pt 0.0000 3.3532 0.0000
Pt 0.0000 0.0000 3.3532
```

Values from the calculation:
For the calculated total energy, the calculation gives -3.5881 eV/atom. The energy of formation comes out at 164 kJ/mol of formula units. The symmetry is Im-3m. The crystal system is cubic.

# 2
This record from Materials Project describes a relaxed KMgH9C2O10 crystal. The functional is PBE.

The structure in extended XYZ format:
```
23
Lattice="5.3574 0.0000 0.0000 -2.0041 6.4296 0.0000 -0.1370 -3.1623 6.3876" Properties=species:S:1:pos:R:3 pbc="T T T"
K 0.0000 0.0000 0.0000
Mg 1.6082 1.6336 3.1938
H -1.0020 3.2148 0.0000
H -1.3953 2.9662 2.7089
H 0.5857 -0.5840 3.8404
H 0.3444 2.0167 5.5465
H 0.3529 3.4830 4.8397
H 2.8635 -0.2158 1.5479
H 2.8720 1.2506 0.8411
H 2.6307 3.8513 2.5472